-- begin --
Simulated X-ray diffraction stick pattern
Compound: TlAsRhAuCl
Radiation: Cu Ka
Structure: a GGA-PBE-relaxed structure

Principal peaks in the range 2θ from 10° to 80°, by intensity:
2θ = 33.48°, I 100; 2θ = 22.23°, I 91; 2θ = 30.16°, I 66; 2θ = 11.06°, I 44; 2θ = 40.92°, I 41; 2θ = 37.22°, I 34

Cell and atoms:
```
data_TlAsRhAuCl
_symmetry_space_group_name_H-M 'P 1 m 1'
_symmetry_Int_Tables_number 6
_cell_length_a 3.4441
_cell_length_b 4.4113
_cell_length_c 8.1741
_cell_angle_alpha 90.00
_cell_angle_beta 101.91
_cell_angle_gamma 90.00
loop_
_symmetry_equiv_pos_as_xyz
'x,y,z'
'x,-y,z'
loop_
_atom_site_label
_atom_site_fract_x
_atom_site_fract_y
_atom_site_fract_z
_atom_site_occupancy
Tl1 0.0000 0.0000 0.0000 1
As1 0.6555 0.5000 0.2940 1
Rh1 0.2565 0.5000 0.4998 1
Au1 0.7411 0.0000 0.4678 1
Cl1 0.4083 0.5000 0.8111 1
```


Entry 1:
This entry pairs a crystal structure of Sr2MgHg2 with its theoretical PXRD pattern. Radiation: Cu Kα, 1.54184 Å. Structure: a cell relaxed with PBE.
Lines closer than 0.1° are merged.

Peak list (12 most intense, 2θ from 10° to 90°, by angle)
- 14.9°, rel. 26.5
- 19.4°, rel. 12.4
- 23.7°, rel. 13.9
- 30.8°, rel. 100.0
- 33.8°, rel. 23.5
- 39.4°, rel. 12.7
- 43.1°, rel. 10.8
- 43.6°, rel. 10.0
- 52.8°, rel. 13.4
- 59.8°, rel. 11.3
- 63.0°, rel. 16.7
- 66.1°, rel. 11.4

Cell and atoms:
Unit cell a=8.3922 b=8.3922 c=4.5782 alpha=90.00 beta=90.00 gamma=90.00
Space group P4/mbm (No. 127)
Symmetry-distinct sites (fractional):
Sr: 0.1679 0.3321 0.0000 (multiplicity 4)
Mg: 0.0000 0.0000 0.5000 (multiplicity 2)
Hg: 0.1354 0.6354 0.5000 (multiplicity 4)

Entry 2:
This entry pairs a crystal structure of Zr4AsAu with its theoretical PXRD pattern. Radiation: Cu Kα, 1.54184 Å. Structure: a cell relaxed with PBE.
Lines closer than 0.1° are merged.

Peak list (12 most intense, 2θ from 10° to 90°, by angle)
- 13.3°, rel. 32.4
- 18.8°, rel. 30.6
- 29.9°, rel. 15.1
- 34.0°, rel. 100.0
- 37.4°, rel. 73.2
- 38.1°, rel. 23.5
- 42.2°, rel. 56.6
- 42.8°, rel. 74.2
- 58.4°, rel. 20.2
- 65.1°, rel. 27.5
- 68.4°, rel. 30.6
- 82.9°, rel. 21.8

Cell and atoms:
Unit cell a=6.6801 b=6.6801 c=5.5811 alpha=90.00 beta=90.00 gamma=90.00
Space group P4/mcc (No. 124)
Symmetry-distinct sites (fractional):
Zr: 0.1502 0.3413 0.0000 (multiplicity 8)
As: 0.0000 0.0000 0.2500 (multiplicity 2)
Au: 0.5000 0.5000 0.2500 (multiplicity 2)

Entry 3:
This entry pairs a crystal structure of PmSiPb with its theoretical PXRD pattern. Radiation: Cu Kα, 1.54184 Å. Structure: a cell relaxed with PBE.
Lines closer than 0.1° are merged.

Peak list (12 most intense, 2θ from 10° to 90°, by angle)
- 25.2°, rel. 18.4
- 30.1°, rel. 60.0
- 31.6°, rel. 100.0
- 31.7°, rel. 78.4
- 37.1°, rel. 26.3
- 42.1°, rel. 21.3
- 47.2°, rel. 15.4
- 52.6°, rel. 26.0
- 54.6°, rel. 29.2
- 57.4°, rel. 15.2
- 58.0°, rel. 28.8
- 70.4°, rel. 18.5

Cell and atoms:
Unit cell a=4.2941 b=18.6847 c=3.8517 alpha=90.00 beta=90.00 gamma=90.00
Space group Cmcm (No. 63)
Symmetry-distinct sites (fractional):
Pm: 0.0000 0.0881 0.2500 (multiplicity 4)
Si: 0.0000 0.4617 0.2500 (multiplicity 4)
Pb: 0.0000 0.2993 0.2500 (multiplicity 4)

Entry 4:
This entry pairs a crystal structure of AcMg4Ga4 with its theoretical PXRD pattern. Radiation: Cu Kα, 1.54184 Å. Structure: a cell relaxed with PBE.
Lines closer than 0.1° are merged.

Peak list (12 most intense, 2θ from 10° to 90°, by angle)
- 16.4°, rel. 47.1
- 26.6°, rel. 24.4
- 27.1°, rel. 62.4
- 28.4°, rel. 19.4
- 31.4°, rel. 100.0
- 32.2°, rel. 49.6
- 42.7°, rel. 19.3
- 43.0°, rel. 27.5
- 43.9°, rel. 19.7
- 50.1°, rel. 18.4
- 50.6°, rel. 31.5
- 59.1°, rel. 17.4

Cell and atoms:
Unit cell a=6.6988 b=6.6988 c=9.1603 alpha=90.00 beta=90.00 gamma=90.00
Space group P4_2/nmc (No. 137, origin choice 2)
Symmetry-distinct sites (fractional):
Ac: 0.2500 0.7500 0.2500 (multiplicity 2)
Mg: 0.0044 0.2500 0.1403 (multiplicity 8)
Ga: 0.0574 0.2500 0.4409 (multiplicity 8)

Entry 5:
-- stop --

Print all of the rows above without altering anything.

Simulated X-ray diffraction stick pattern
Compound: TlAsRhAuCl
Radiation: Cu Ka
Structure: a GGA-PBE-relaxed structure

Principal peaks in the range 2θ from 10° to 80°, by intensity:
2θ = 33.48°, I 100; 2θ = 22.23°, I 91; 2θ = 30.16°, I 66; 2θ = 11.06°, I 44; 2θ = 40.92°, I 41; 2θ = 37.22°, I 34

Cell and atoms:
```
data_TlAsRhAuCl
_symmetry_space_group_name_H-M 'P 1 m 1'
_symmetry_Int_Tables_number 6
_cell_length_a 3.4441
_cell_length_b 4.4113
_cell_length_c 8.1741
_cell_angle_alpha 90.00
_cell_angle_beta 101.91
_cell_angle_gamma 90.00
loop_
_symmetry_equiv_pos_as_xyz
'x,y,z'
'x,-y,z'
loop_
_atom_site_label
_atom_site_fract_x
_atom_site_fract_y
_atom_site_fract_z
_atom_site_occupancy
Tl1 0.0000 0.0000 0.0000 1
As1 0.6555 0.5000 0.2940 1
Rh1 0.2565 0.5000 0.4998 1
Au1 0.7411 0.0000 0.4678 1
Cl1 0.4083 0.5000 0.8111 1
```


Entry 1:
This entry pairs a crystal structure of Sr2MgHg2 with its theoretical PXRD pattern. Radiation: Cu Kα, 1.54184 Å. Structure: a cell relaxed with PBE.
Lines closer than 0.1° are merged.

Peak list (12 most intense, 2θ from 10° to 90°, by angle)
- 14.9°, rel. 26.5
- 19.4°, rel. 12.4
- 23.7°, rel. 13.9
- 30.8°, rel. 100.0
- 33.8°, rel. 23.5
- 39.4°, rel. 12.7
- 43.1°, rel. 10.8
- 43.6°, rel. 10.0
- 52.8°, rel. 13.4
- 59.8°, rel. 11.3
- 63.0°, rel. 16.7
- 66.1°, rel. 11.4

Cell and atoms:
Unit cell a=8.3922 b=8.3922 c=4.5782 alpha=90.00 beta=90.00 gamma=90.00
Space group P4/mbm (No. 127)
Symmetry-distinct sites (fractional):
Sr: 0.1679 0.3321 0.0000 (multiplicity 4)
Mg: 0.0000 0.0000 0.5000 (multiplicity 2)
Hg: 0.1354 0.6354 0.5000 (multiplicity 4)

Entry 2:
This entry pairs a crystal structure of Zr4AsAu with its theoretical PXRD pattern. Radiation: Cu Kα, 1.54184 Å. Structure: a cell relaxed with PBE.
Lines closer than 0.1° are merged.

Peak list (12 most intense, 2θ from 10° to 90°, by angle)
- 13.3°, rel. 32.4
- 18.8°, rel. 30.6
- 29.9°, rel. 15.1
- 34.0°, rel. 100.0
- 37.4°, rel. 73.2
- 38.1°, rel. 23.5
- 42.2°, rel. 56.6
- 42.8°, rel. 74.2
- 58.4°, rel. 20.2
- 65.1°, rel. 27.5
- 68.4°, rel. 30.6
- 82.9°, rel. 21.8

Cell and atoms:
Unit cell a=6.6801 b=6.6801 c=5.5811 alpha=90.00 beta=90.00 gamma=90.00
Space group P4/mcc (No. 124)
Symmetry-distinct sites (fractional):
Zr: 0.1502 0.3413 0.0000 (multiplicity 8)
As: 0.0000 0.0000 0.2500 (multiplicity 2)
Au: 0.5000 0.5000 0.2500 (multiplicity 2)

Entry 3:
This entry pairs a crystal structure of PmSiPb with its theoretical PXRD pattern. Radiation: Cu Kα, 1.54184 Å. Structure: a cell relaxed with PBE.
Lines closer than 0.1° are merged.

Peak list (12 most intense, 2θ from 10° to 90°, by angle)
- 25.2°, rel. 18.4
- 30.1°, rel. 60.0
- 31.6°, rel. 100.0
- 31.7°, rel. 78.4
- 37.1°, rel. 26.3
- 42.1°, rel. 21.3
- 47.2°, rel. 15.4
- 52.6°, rel. 26.0
- 54.6°, rel. 29.2
- 57.4°, rel. 15.2
- 58.0°, rel. 28.8
- 70.4°, rel. 18.5

Cell and atoms:
Unit cell a=4.2941 b=18.6847 c=3.8517 alpha=90.00 beta=90.00 gamma=90.00
Space group Cmcm (No. 63)
Symmetry-distinct sites (fractional):
Pm: 0.0000 0.0881 0.2500 (multiplicity 4)
Si: 0.0000 0.4617 0.2500 (multiplicity 4)
Pb: 0.0000 0.2993 0.2500 (multiplicity 4)

Entry 4:
This entry pairs a crystal structure of AcMg4Ga4 with its theoretical PXRD pattern. Radiation: Cu Kα, 1.54184 Å. Structure: a cell relaxed with PBE.
Lines closer than 0.1° are merged.

Peak list (12 most intense, 2θ from 10° to 90°, by angle)
- 16.4°, rel. 47.1
- 26.6°, rel. 24.4
- 27.1°, rel. 62.4
- 28.4°, rel. 19.4
- 31.4°, rel. 100.0
- 32.2°, rel. 49.6
- 42.7°, rel. 19.3
- 43.0°, rel. 27.5
- 43.9°, rel. 19.7
- 50.1°, rel. 18.4
- 50.6°, rel. 31.5
- 59.1°, rel. 17.4

Cell and atoms:
Unit cell a=6.6988 b=6.6988 c=9.1603 alpha=90.00 beta=90.00 gamma=90.00
Space group P4_2/nmc (No. 137, origin choice 2)
Symmetry-distinct sites (fractional):
Ac: 0.2500 0.7500 0.2500 (multiplicity 2)
Mg: 0.0044 0.2500 0.1403 (multiplicity 8)
Ga: 0.0574 0.2500 0.4409 (multiplicity 8)

Entry 5: